Object Property Configuration and Proxies - Learning JavaScript (2016)

Learning JavaScript (2016)

Chapter 21. Object Property Configuration and Proxies

Accessor Properties: Getters and Setters

There are two types of object properties: data properties and accessor properties. We’ve already seen both, but the accessor properties have been hidden behind some ES6 syntactic sugar (we called them “dynamic properties” in Chapter 9).

We’re familiar with function properties (or methods); accessor properties are similar except they have two functions—a getter and a setter—and when accessed, they act more like a data property than a function.

Let’s review dynamic properties. Imagine you have a User class, with methods setEmail and getEmail. We opted to use a “get” and “set” method instead of just having a property called email because we want to prevent a user from getting an invalid email address. Our class is very simple (for simplicity, we’ll treat any string with an at sign as a valid email address):

const USER_EMAIL = Symbol();

class User {

setEmail(value) {

if(!/@/.test(value)) throw new Error(`invalid email: ${value}`);

this[USER_EMAIL] = value;


getEmail() {

return this[USER_EMAIL];



In this example, the only thing that’s compelling us to use two methods (instead of a property) is to prevent the USER_EMAIL property from receiving an invalid email address. We’re using a symbol property here to discourage accidental direct access of the property (if we used a string property called email or even _email, it would be easy to carelessly access it directly).

This is a common pattern, and it works well, but it’s slightly more unwieldy than we might like. Here’s an example of using this class:

const u = new User();


console.log(`User email: ${u.getEmail()}`);

While this works, it would be more natural to write:

const u = new User();

u.email = "john@doe.com";

console.log(`User email: ${u.email}`);

Enter accessor properties: they allow us to have the benefits of the former with the natural syntax of the latter. Let’s rewrite our class using accessor properties:

const USER_EMAIL = Symbol();

class User {

set email(value) {

if(!/@/.test(value)) throw new Error(`invalid email: ${value}`);

this[USER_EMAIL] = value;


get email() {

return this[USER_EMAIL];



We’ve provided two distinct functions, but they are bundled into a single property called email. If the property is assigned to, then the setter is called (with the assignment value being passed in as the first argument), and if the property is evaluated, the getter is called.

You can provide a getter without a setter; for example, consider a getter that provides the perimeter of a rectangle:

class Rectangle {

constructor(width, height) {

this.width = width;

this.height = height;


get perimeter() {

return this.width*2 + this.height*2;



We don’t provide a setter for perimeter because there’s no obvious way to infer the rectangle’s width and height from the length of the perimeter; it makes sense for this to be a read-only property.

Likewise, you can provide a setter without a getter, though this is a much less common pattern.

Object Property Attributes

At this point, we have a lot of experience with object properties. We know that they have a key (which can be a string or a symbol) and a value (which can be of any type). We also know that you cannot guarantee the order of properties in an object (the way you can in an array or Map). We know two ways of accessing object properties (member access with dot notation, and computed member access with square brackets). Lastly, we know three ways to create properties in the object literal notation (regular properties with keys that are identifiers, computed property names allowing nonidentifiers and symbols, and method shorthand).

There’s more to know about properties, however. In particular, properties have attributes that control how the properties behave in the context of the object they belong to. Let’s start by creating a property using one of the techniques we know; then we’ll useObject.getOwnPropertyDescriptor to examine its attributes:

const obj = { foo: "bar" };

Object.getOwnPropertyDescriptor(obj, 'foo');

This will return the following:

{ value: "bar", writable: true, enumerable: true, configurable: true }


The terms property attributes, property descriptor, and property configuration are used interchangeably; they all refer to the same thing.

This exposes the three attributes of a property:


Controls whether the value of the property can be changed.


Controls whether the property will be included when the properties of the object are enumerated (with for...in, Object.keys, or the spread operator).


Controls whether the property can be deleted from the object or have its attributes modified.

We can control property attributes with Object.defineProperty, which allows you to create new properties or modify existing ones (as long as the property is configurable).

For example, if we want to make the foo property of obj read-only, we can use Object.defineProperty:

Object.defineProperty(obj, 'foo', { writable: false });

Now if we try to assign a value to foo, we get an error:

obj.foo = 3;

// TypeError: Cannot assign to read only property 'foo' of [object Object]


Attempting to set a read-only property will only result in an error in strict mode. In nonstrict mode, the assignment will not be successful, but there will be no error.

We can also use Object.defineProperty to add a new property to an object. This is especially useful for attribute properties because, unlike with data properties, there’s no other way to add an accessor property after an object has been created. Let’s add a color property to o (we won’t bother with symbols or validation this time):

Object.defineProperty(obj, 'color', {

get: function() { return this.color; },

set: function(value) { this.color = value; },


To create a data property, you provide the value property to Object.defineProperty. We’ll add name and greet properties to obj:

Object.defineProperty(obj, 'name', {

value: 'Cynthia',


Object.defineProperty(obj, 'greet', {

value: function() { return `Hello, my name is ${this.name}!`; }


One common use of Object.defineProperty is making properties not enumerable in an array. We’ve mentioned before that it’s not wise to use string or symbol properties in an array (because it is contrary to the use of an array), but it can be useful if done carefully and thoughtfully. While the use of for...in or Object.keys on an array is also discouraged (instead prefer for, for...of, or Array.prototype.forEach), you can’t prevent people from doing it. Therefore, if you add non-numeric properties to an array, you should make them non-enumerable in case someone (inadvisably) uses for..in or Object.keys on an array. Here’s an example of adding sum and avg methods to an array:

const arr = [3, 1.5, 9, 2, 5.2];

arr.sum = function() { return this.reduce((a, x) => a+x); }

arr.avg = function() { return this.sum()/this.length; }

Object.defineProperty(arr, 'sum', { enumerable: false });

Object.defineProperty(arr, 'avg', { enumerable: false });

We could also do this in one step per property:

const arr = [3, 1.5, 9, 2, 5.2];

Object.defineProperty(arr, 'sum', {

value: function() { return this.reduce((a, x) => a+x); },

== Inserted here: materials data ==
'''
[1]
Theoretical powder diffraction line list
Compound: CaNdGe
Radiation: CuKα
Structure: a crystal structure in Alexandria, relaxed with GGA-PBE
Intensities are scaled so that the largest is 100.

a b c (Å): 8.5714 8.5714 8.5714
angles (deg): 99.31 99.31 99.31
Fractional coordinates of all 18 atoms:
1 Ca 0.1811 0.4310 0.5406
2 Ca 0.4310 0.5406 0.1811
3 Ca 0.4594 0.8189 0.5690
4 Ca 0.5406 0.1811 0.4310
5 Ca 0.5690 0.4594 0.8189
6 Ca 0.8189 0.5690 0.4594
7 Nd 0.0729 0.9212 0.3180
8 Nd 0.0788 0.6820 0.9271
9 Nd 0.3180 0.0729 0.9212
10 Nd 0.6820 0.9271 0.0788
11 Nd 0.9212 0.3180 0.0729
12 Nd 0.9271 0.0788 0.6820
13 Ge 0.1201 0.8036 0.6315
14 Ge 0.1964 0.3685 0.8799
15 Ge 0.3685 0.8799 0.1964
16 Ge 0.6315 0.1201 0.8036
17 Ge 0.8036 0.6315 0.1201
18 Ge 0.8799 0.1964 0.3685

Largest 10 diffraction maxima, by angle, 2θ from 10° to 90°:
8.300 Å, I 100; 4.071 Å, I 24; 4.036 Å, I 41; 3.503 Å, I 58; 3.039 Å, I 30; 2.948 Å, I 36; 2.791 Å, I 38; 2.485 Å, I 86; 2.469 Å, I 90; 1.751 Å, I 23

***

[2]
Theoretical powder diffraction line list
Compound: TmThHg6
Radiation: CuKα
Structure: a crystal structure in Alexandria, relaxed with GGA-PBE
Intensities are scaled so that the largest is 100.

a b c (Å): 4.9876 6.7542 11.6832
angles (deg): 90.00 90.00 90.00
Fractional coordinates of all 16 atoms:
1 Tm 0.0000 0.0000 0.0000
2 Tm 0.0000 0.5000 0.5000
3 Th 0.5000 0.0000 0.6682
4 Th 0.5000 0.5000 0.1682
5 Hg 0.0000 0.0000 0.4964
6 Hg 0.0000 0.2417 0.2533
7 Hg 0.0000 0.2583 0.7533
8 Hg 0.0000 0.5000 0.9964
9 Hg 0.0000 0.7417 0.7533
10 Hg 0.0000 0.7583 0.2533
11 Hg 0.5000 0.0000 0.1649
12 Hg 0.5000 0.2476 0.9188
13 Hg 0.5000 0.2524 0.4188
14 Hg 0.5000 0.5000 0.6649
15 Hg 0.5000 0.7476 0.4188
16 Hg 0.5000 0.7524 0.9188

Largest 10 diffraction maxima, by angle, 2θ from 10° to 90°:
2.923 Å, I 25; 2.522 Å, I 100; 2.494 Å, I 22; 1.897 Å, I 15; 1.687 Å, I 20; 1.445 Å, I 18; 1.402 Å, I 16; 1.398 Å, I 22; 1.261 Å, I 4; 1.098 Å, I 8

***

[3]
Theoretical powder diffraction line list
Compound: DyPaCS2
Radiation: CuKα
Structure: a crystal structure in Alexandria, relaxed with GGA-PBE
Intensities are scaled so that the largest is 100.

a b c (Å): 3.8669 3.8669 13.8751
angles (deg): 90.00 90.00 90.00
Fractional coordinates of all 10 atoms:
1 Dy 0.2500 0.2500 0.1179
2 Dy 0.7500 0.7500 0.8821
3 Pa 0.2500 0.2500 0.5894
4 Pa 0.7500 0.7500 0.4106
5 C 0.2500 0.7500 0.5000
6 C 0.7500 0.2500 0.5000
7 S 0.2500 0.2500 0.3047
8 S 0.2500 0.2500 0.9076
9 S 0.7500 0.7500 0.0924
10 S 0.7500 0.7500 0.6953

Largest 10 diffraction maxima, by angle, 2θ from 10° to 90°:
6.938 Å, I 17; 3.469 Å, I 26; 3.378 Å, I 100; 2.967 Å, I 16; 2.734 Å, I 59; 2.582 Å, I 23; 2.147 Å, I 32; 1.984 Å, I 15; 1.933 Å, I 23; 1.678 Å, I 29

----------

Calculated PXRD pattern
Compound: KPdRuI6
Radiation: Cu Kα X-rays
Structure: a DFT-relaxed cell (PBE, Alexandria)
Peak positions follow from Bragg's law for the DFT cell and can differ from measured ones.

Cell and atoms:
'''
== End of the materials data ==

enumerable: false


Object.defineProperty(arr, 'avg', {

value: function() { return this.sum()/this.length; },

enumerable: false


Lastly, there is also a Object.defineProperties (note the plural) that takes an object that maps property names to property definitions. So we can rewrite the previous example as:

const arr = [3, 1.5, 9, 2, 5.2];


sum: {

value: function() { return this.reduce((a, x) => a+x); },

enumerable: false


avg: {

value: function() { return this.sum()/this.length; },

enumerable: false



Protecting Objects: Freezing, Sealing, and Preventing Extension

JavaScript’s flexible nature is very powerful, but it can get you into trouble. Because any code anywhere can normally modify an object in any way it wishes, it’s easy to write code that is unintentionally dangerous or—even worse—intentionally malicious.

JavaScript does provide three mechanisms for preventing unintentional modifications (and making intentional ones more difficult): freezing, sealing, and preventing extension.

Freezing prevents any changes to an object. Once you freeze an object, you cannot:

§ Set the value of properties on the object.

§ Call methods that modify the value of properties on the object.

§ Invoke setters on the object (that modify the value of properties on the object).

§ Add new properties.

§ Add new methods.

§ Change the configuration of existing properties or methods.

In essence, freezing an object makes it immutable. It’s most useful for data-only objects, as freezing an object with methods will render useless any methods that modify the state of the object.

To freeze an object, use Object.freeze (you can tell if an object is frozen by calling Object.isFrozen). For example, imagine you have an object that you use to store immutable information about your program (such as company, version, build ID, and a method to get copyright information):

const appInfo = {

company: 'White Knight Software, Inc.',

version: '1.3.5',

buildId: '0a995448-ead4-4a8b-b050-9c9083279ea2',

// this function only accesses properties, so it won't be

// affected by freezing

copyright() {

return `© ${new Date().getFullYear()}, ${this.company}`;




Object.isFrozen(appInfo); // true

appInfo.newProp = 'test';

// TypeError: Can't add property newProp, object is not extensible

delete appInfo.company;

// TypeError: Cannot delete property 'company' of [object Object]

appInfo.company = 'test';

// TypeError: Cannot assign to read-only property 'company' of [object Object]

Object.defineProperty(appInfo, 'company', { enumerable: false });

// TypeError: Cannot redefine property: company

Sealing an object prevents the addition of new properties, or the reconfiguration or removal of existing properties. Sealing can be used when you have an instance of a class, as methods that operate on the object’s properties will still work (as long as they’re not attempting to reconfigure a property). You can seal an object with Object.seal, and tell if an object is sealed by calling Object.isSealed:

class Logger {

constructor(name) {

this.name = name;

this.log = [];


add(entry) {


log: entry,

timestamp: Date.now(),




const log = new Logger("Captain's Log");


Object.isSealed(log); // true

log.name = "Captain's Boring Log"; // OK

log.add("Another boring day at sea...."); // OK

log.newProp = 'test';

// TypeError: Can't add property newProp, object is not extensible

log.name = 'test'; // OK

delete log.name;

// TypeError: Cannot delete property 'name' of [object Object]

Object.defineProperty(log, 'log', { enumerable: false });

// TypeError: Cannot redefine property: log

Finally, the weakest protection, making an object nonextensible, only prevents new properties from being added. Properties can be assigned to, deleted, and reconfigured. Reusing our Logger class, we can demonstrate Object.preventExtensions and Object.isExtensible:

const log2 = new Logger("First Mate's Log");


Object.isExtensible(log2); // true

log2.name = "First Mate's Boring Log"; // OK

log2.add("Another boring day at sea...."); // OK

log2.newProp = 'test';

// TypeError: Can't add property newProp, object is not extensible

log2.name = 'test'; // OK

delete log2.name; // OK

Object.defineProperty(log2, 'log',

{ enumerable: false }); // OK

I find that I don’t use Object.preventExtensions very often. If I want to prevent extensions to an object, I typically also want to prevent deletions and reconfiguration, so I usually prefer sealing an object.

Table 21-1 summarizes the protection options.


Normal object

Frozen object

Sealed object

Nonextensible object

Add property





Read property





Set property value





Reconfigure property





Delete property





Table 21-1. Object protection options


New in ES6 are proxies, which provide additional metaprogramming functionality (metaprogramming is the ability for a program to modify itself).

An object proxy essentially has the ability to intercept and (optionally) modify actions on an object. Let’s start with a simple example: modifying property access. We’ll start with a regular object that has a couple of properties:

const coefficients = {

a: 1,

b: 2,

c: 5,


Imagine that the properties in this object represent the coefficients in a mathematical equation. We might use it like this:

function evaluate(x, c) {

return c.a + c.b * x + c.c * Math.pow(x, 2);


So far, so good…we can now store the coefficients of a quadratic equation in an object and evaluate the equation for any value of x. What if we pass in an object with missing coefficients, though?

const coefficients = {

a: 1,

c: 3,


evaluate(5, coefficients); // NaN

We could solve the problem by setting coefficients.b to 0, but proxies offer us a better option. Because proxies can intercept actions against an object, we can make sure that undefined properties return a value of 0. Let’s create a proxy for our coefficients object:

const betterCoefficients = new Proxy(coefficients, {

get(target, key) {

return target[key] || 0;




As I write this, proxies are not supported in Babel. However, they are supported in the current build of Firefox, and these code samples can be tested there.

The first argument to the Proxy constructor is the target, or object that’s being proxied. The second argument is the handler, which specifies the actions to be intercepted. In this case, we’re only intercepting property access, denoted by the get function (this is distinct from a get property accessor: this will work for regular properties and get accessors). The get function takes three arguments (we’re only using the first two): the target, the property key (either a string or a symbol), and the receiver (the proxy itself, or something that derives from it).

In this example, we simply check to see if the key is set on the target; if it’s not, we return the value 0. Go ahead and try it:

betterCoefficients.a; // 1

betterCoefficients.b; // 0

betterCoefficients.c; // 3

betterCoefficients.d; // 0

betterCoefficients.anything; // 0;

We’ve essentially created a proxy for our coefficients object that appears to have an infinite number of properties (all set to 0, except the ones we define)!

We could further modify our proxy to only proxy single lowercase letters:

const betterCoefficients = new Proxy(coefficients, {

get(target, key) {

if(!/^[a-z]$/.test(key)) return target[key];

return target[key] || 0;



Instead of doing our easy check to see if target[key] is truthy, we could return 0 if it’s anything but a number…I’ll leave that as a reader’s exercise.

Similarly, we can intercept properties (or accessors) being set with the set handler. Let’s consider an example where we have dangerous properties on an object. We want to prevent these properties from being set, and the methods from being called, without an extra step. The extra step we’ll use is a setter called allowDangerousOperations, which you have to set to true before accessing dangerous functionality:

const cook = {

name: "Walt",

redPhosphorus: 100, // dangerous

water: 500, // safe


const protectedCook = new Proxy(cook, {

set(target, key, value) {

if(key === 'redPhosphorus') {


return target.redPhosphorus = value;


return console.log("Too dangerous!");


// all other properties are safe

target[key] = value;



protectedCook.water = 550; // 550

protectedCook.redPhosphorus = 150; // Too dangerous!

protectedCook.allowDangerousOperations = true;

protectedCook.redPhosphorus = 150; // 150

This only scratches the surface of what you can do with proxies. To learn more, I recommend starting with Axel Rauschmayer’s article “Meta Programming with ECMAScript 6 Proxies” and then reading the MDN documentation.


In this chapter, we’ve pulled back the curtain that hides JavaScript’s object mechanism and gotten a detailed picture of how object properties work, and how we can reconfigure that behavior. We also learned how to protect objects from modification.

Lastly, we learned about an extremely useful new concept in ES6: proxies. Proxies allow powerful metaprogramming techniques, and I suspect we will be seeing some very interesting uses for proxies as ES6 gains popularity.